7 Wonders of Robin Lefler's World
Photo by Chris Bogdon
Next month, my friend Robin’s debut novel Reasonable Adults hits shelves, and believe me when I tell you you’re going to love it. Like, immediately run out and buy copies for your mom, your favourite aunt, and your best seven friends kind of love it. I was lucky enough to read a very early draft, and I can remember the moment, maybe twenty pages in, when I sat straight up (in the bath, where I do most of my reading) and whispered “HOLY SHIT!” out loud to the empty bathroom. I realized then and there that I the story I was holding was pure gold.
As is Robin herself. Whip smart, with warmth for days and wit that just won’t quit, Robin is equal measures self-assured and self-deprecating. She has impeccable taste in pottery, is one of the most fun moms I know, and bakes great cakes. And, if all that wasn’t enough, she is an insightful and generous critique partner and an unfailingly loyal friend. In short, this woman is defiantly a wonder of my world, and I couldn’t resist asking her to share some wonders of her own.
- - -
# 1
Starting from the GGA-PBE geometry in Alexandria, the X-ray diffraction stick pattern of Ho5TmCd6 was simulated for copper Kα.

Cell and atoms:
a = 5.2548 Å, b = 15.8016 Å, c = 7.4576 Å
α = 90.00°, β = 90.00°, γ = 90.00°
Space group Cmmm (No. 65)
Asymmetric unit:
Ho (0.0000, 0.0000, 0.0000) [2 per cell]
Ho (0.0000, 0.3328, 0.0000) [4 per cell]
Ho (0.0000, 0.3338, 0.5000) [4 per cell]
Tm (0.0000, 0.0000, 0.5000) [2 per cell]
Cd (0.0000, 0.1662, 0.2513) [8 per cell]
Cd (0.0000, 0.5000, 0.2512) [4 per cell]

Principal peaks in the range 10 to 80 degrees two-theta, by angle:
23.90 deg, d 3.723, rel. 4, (1 3 0)
34.06 deg, d 2.633, rel. 100, (2 0 0)
42.04 deg, d 2.149, rel. 1, (2 0 2)
48.85 deg, d 1.864, rel. 6, (0 0 4)
48.97 deg, d 1.860, rel. 12, (2 6 0)
55.14 deg, d 1.666, rel. 1, (2 6 2)
60.92 deg, d 1.521, rel. 24, (2 0 4)
61.04 deg, d 1.518, rel. 12, (3 3 2)
71.67 deg, d 1.317, rel. 9, (2 6 4)
71.87 deg, d 1.314, rel. 2, (4 0 0)

=====

# 2
Starting from the GGA-PBE geometry in Alexandria, the X-ray diffraction stick pattern of Y4Ho7Cd was simulated for copper Kα.

Cell and atoms:
a = 5.5405 Å, b = 5.5405 Å, c = 13.6454 Å
α = 90.00°, β = 90.00°, γ = 120.00°
Space group P-3m1 (No. 164)
Asymmetric unit:
Y (0.3333, 0.6667, 0.3715) [2 per cell]
Y (0.3333, 0.6667, 0.8858) [2 per cell]
Ho (0.0000, 0.0000, 0.2496) [2 per cell]
Ho (0.0000, 0.0000, 0.5000) [1 per cell]
Ho (0.3333, 0.6667, 0.1179) [2 per cell]
Ho (0.3333, 0.6667, 0.6297) [2 per cell]
Cd (0.0000, 0.0000, 0.0000) [1 per cell]

Principal peaks in the range 10 to 80 degrees two-theta, by angle:
22.66 deg, d 3.925, rel. 12, (1 0 2)
32.20 deg, d 2.780, rel. 94, (1 0 4)
32.32 deg, d 2.770, rel. 100, (1 1 0)
42.01 deg, d 2.150, rel. 6, (1 1 4)
46.26 deg, d 1.962, rel. 34, (0 2 4)
53.74 deg, d 1.706, rel. 7, (0 0 8)
57.58 deg, d 1.601, rel. 55, (3 0 0)
64.12 deg, d 1.452, rel. 26, (1 1 8)
67.64 deg, d 1.385, rel. 12, (2 2 0)
76.90 deg, d 1.240, rel. 15, (1 3 4)

~~~~~

Starting from a crystal structure in Alexandria, relaxed with GGA+U, the PXRD pattern of ZnCoCuF6 was simulated for Cu Kα X-rays.
Kinematic intensities with the Lorentz-polarization factor, no thermal factor.

Structure:
```
data_ZnCoCuF6
_symmetry_space_group_name_H-M 'P -3 1 c'
_symmetry_Int_Tables_number 163
_symmetry_space_group_name_Hall '-P 3 2c'
_cell_length_a 5.2326
_cell_length_b 5.2326
_cell_length_c 8.9278
_cell_angle_alpha 90.00
_cell_angle_beta 90.00
_cell_angle_gamma 120.00
loop_
_atom_site_label
_atom_site_fract_x
_atom_site_fract_y
_atom_site_fract_z
Zn1 0.3333 0.6667 0.2500
Co1 0.3333 0.6667 0.7500
Cu1 0.0000 0.0000 0.0000
F1 0.0015 0.3350 0.6283
```

Principal peaks in the range 10° ≤ 2θ ≤ 90°, sorted by position:
| h k l | Position (°2θ) | Rel. int. |
| --- | --- | --- |
| 1 0 2 | 28.06 | 100 |
| 1 1 0 | 34.27 | 33 |
| 1 1 2 | 39.94 | 28 |
| 2 0 2 | 44.86 | 27 |
| 1 1 4 | 54.00 | 53 |
| 3 0 0 | 61.38 | 25 |

~~~~~

Theoretical PXRD pattern
Compound: Na3ZnSnP3O12
Radiation: Cu Kα
- - -
**The entry goes on:**
1. Walking in the woods
Exercise is one of those things I'm happy to have done, but hate in the moment - except for walking in a forest. I'm thrilled to do that almost any time. My writing brain seems to work overtime there, throwing out ideas and solving plot problems that have been plaguing me. Magical.
2. A mug with good hand-feel
I have a lot of mugs. Too many, really. But I can't resist a ceramic mug that feels right when I cradle it in my hands. The perfectly sized handle. A lip that allows for minimal dribbling while distractedly sipping. A bottom edge that welcomes your fingers as they wrap around for warmth. *insert satisfied sigh*One of my favourite things to do when people come over is let them pick a mug or drinking vessel that feels right to them. Seeing what people gravitate to is endlessly interesting for me. And yes, I'm very fun at parties.
3. Cottage bookshelves
The glory of a cottage bookshelf! Decades of mass-market paperbacks with their cracked spines and dog-eared pages. Put me in a cabin and the first place I'll head is for the books. Well, maybe the view first, but then the books. I love cottage bookshelves so much that I asked my husband to build me some for our den. They're the perfect size for mass-markets and make me happy every time I walk into the room.
4. Doggos!
# Someone pasted records of crystals at this point
- - -
Starting from a structure optimized by DFT (GGA-PBE), the powder diffraction line list of Ga2FeSe was calculated for Cu Kα (λ = 1.5418 Å).

Most intense lines, 2θ from 10° to 80°, low angle first:
d = 3.225 Å, I 100.0
d = 2.247 Å, I 35.5
d = 1.872 Å, I 40.5
d = 1.844 Å, I 37.9
d = 1.589 Å, I 11.3
d = 1.460 Å, I 8.8
d = 1.425 Å, I 7.7
d = 1.224 Å, I 9.3
d = 1.211 Å, I 17.5
d = 1.203 Å, I 8.4

Structural model:
Cell lengths 6.355, 6.355, 9.264 Å; angles 90.00, 90.00, 90.00 degrees
Space group I-42d (No. 122)
Symmetry-distinct sites (fractional):
Ga: 0.233 0.250 0.125 x8
Fe: 0.000 0.000 0.000 x4
Se: 0.000 0.000 0.500 x4

=====

Structure and simulated powder X-ray diffraction pattern of NaYUS4 (a DFT-relaxed cell (PBE, Alexandria); Cu Kα (λ = 1.5418 Å)).

Main lines, low angle first (2θ from 10° to 90°):
d_spacing, I/Imax
6.675, 16.5
6.620, 100.0
3.489, 48.7
3.460, 37.9
2.884, 47.2
2.867, 23.3
2.215, 20.7
2.207, 17.4
2.033, 40.9
1.944, 18.1

Crystal structure
abc: 8.134 8.134 8.134
angles: 120.21 119.38 90.36
Fractional positions:
Na1 0.380 0.130 0.250
Na2 0.620 0.870 0.750
Y1 0.000 0.000 0.500
Y2 0.000 0.500 0.000
U1 0.000 0.500 0.500
U2 0.500 0.500 0.000
S1 0.210 0.734 0.476
S2 0.240 0.270 0.529
S3 0.240 0.711 0.971
S4 0.242 0.266 0.976
S5 0.758 0.734 0.024
S6 0.760 0.289 0.029
S7 0.760 0.730 0.471
S8 0.790 0.266 0.524

=====

[1]
Starting from a crystal structure in Alexandria, relaxed with PBE, the X-ray diffraction stick pattern of Ce3Te3O was calculated for Cu Kα X-rays.
Intensities are scaled so that the largest is 100.

The 12 most intense peaks (2θ = 5–70°), low angle first:
2θ 25.74, d 3.461, I 22; 2θ 26.57, d 3.355, I 15; 2θ 28.87, d 3.093, I 23; 2θ 29.33, d 3.045, I 100; 2θ 31.45, d 2.845, I 54; 2θ 33.00, d 2.715, I 20; 2θ 33.45, d 2.679, I 15; 2θ 35.93, d 2.500, I 56; 2θ 42.65, d 2.120, I 36; 2θ 51.44, d 1.776, I 15; 2θ 57.97, d 1.591, I 15; 2θ 66.07, d 1.414, I 17

Crystal structure
a b c (Å): 13.8262 4.2402 13.8445
angles (deg): 90.00 90.00 90.00
Positions (direct):
Ce: 0.0349 0.2500 0.1611
Ce: 0.0615 0.2500 0.6293
Ce: 0.2105 0.2500 0.8586
Ce: 0.2895 0.7500 0.3586
Ce: 0.4385 0.7500 0.1293
Ce: 0.4651 0.7500 0.6611
Ce: 0.5349 0.2500 0.3389
Ce: 0.5615 0.2500 0.8707
Ce: 0.7105 0.2500 0.6414
Ce: 0.7895 0.7500 0.1414
Ce: 0.9385 0.7500 0.3707
Ce: 0.9651 0.7500 0.8389
Te: 0.1056 0.2500 0.3941
Te: 0.1247 0.7500 0.0052
Te: 0.2228 0.7500 0.6836
Te: 0.2772 0.2500 0.1836
Te: 0.3753 0.2500 0.5052
Te: 0.3944 0.7500 0.8941
Te: 0.6056 0.2500 0.1059
Te: 0.6247 0.7500 0.4948
Te: 0.7228 0.7500 0.8164
Te: 0.7772 0.2500 0.3164
Te: 0.8753 0.2500 0.9948
Te: 0.8944 0.7500 0.6059
O: 0.0454 0.2500 0.7946
O: 0.4546 0.7500 0.2946
O: 0.5454 0.2500 0.7054
O: 0.9546 0.7500 0.2054

***

[2]
Starting from a crystal structure in Alexandria, relaxed with PBE, the X-ray diffraction stick pattern of Sr2ReBiO6 was calculated for Cu Kα X-rays.
Intensities are scaled so that the largest is 100.

The 12 most intense peaks (2θ = 5–70°), low angle first:
- - -
Give me those wagging tails and goofy dog smiles. Give me the snoring snoot in bed beside me, hogging my pillow. Give me the aggressive cuddles or distracting insistence that this is the perfect time to play when I'm feeling down. We have a twelve-year-old goldendoodle, Charlotte, and a six-year-old lab x pointer, Waylon. They drive me bonkers while also keeping me sane. It's a strange but necessary balance.
5. Solitude
== Calculated crystals, as found in the file ==
1.
For Er4MgNi, DFT lattice parameters and positions (GGA-PBE) gives the simulated powder diffraction line list in this record (Cu Kα).
Intensities are scaled so that the largest is 1000.

Main lines, most intense first (2θ from 15° to 90°):
- 2θ 34.33, rel. 1000
- 2θ 32.31, rel. 653
- 2θ 57.63, rel. 588
- 2θ 28.67, rel. 579
- 2θ 37.48, rel. 283
- 2θ 55.41, rel. 198
- 2θ 87.05, rel. 177
- 2θ 88.90, rel. 164
- 2θ 58.93, rel. 145
- 2θ 68.82, rel. 133

Structure:
```
Er4MgNi
1.0
0.0000 6.7864 6.7864
6.7864 0.0000 6.7864
6.7864 6.7864 0.0000
Er Mg Ni
16 4 4
Cartesian
6.7864 6.7864 2.5144
6.7864 2.5144 6.7864
11.0583 6.7864 6.7864
5.4807 5.4807 5.4807
8.0921 8.0921 5.4807
8.0921 5.4807 8.0921
10.1796 10.1796 7.6364
10.1796 7.6364 10.1796
12.7228 10.1796 10.1796
5.4807 8.0921 8.0921
2.5144 6.7864 6.7864
6.7864 11.0583 6.7864
6.7864 6.7864 11.0583
7.6364 10.1796 10.1796
10.1796 12.7228 10.1796
10.1796 10.1796 12.7228
2.2993 2.2993 2.2993
4.4871 4.4871 2.2993
4.4871 2.2993 4.4871
2.2993 4.4871 4.4871
8.2563 5.3164 5.3164
5.3164 8.2563 5.3164
5.3164 5.3164 8.2563
8.2563 8.2563 8.2563
```

2.
For Pb, DFT lattice parameters and positions (GGA-PBE) gives the simulated powder diffraction line list in this record (Cu Kα).
Intensities are scaled so that the largest is 1000.

Main lines, most intense first (2θ from 15° to 90°):
- 2θ 32.93, rel. 1000
- 2θ 30.61, rel. 268
- 2θ 61.12, rel. 235
- 2θ 55.90, rel. 229
- 2θ 29.06, rel. 229
- 2θ 51.51, rel. 194
- 2θ 42.71, rel. 166
- 2θ 62.50, rel. 165
- 2θ 85.18, rel. 148
- 2θ 86.27, rel. 96

Structure:
```
Pb
1.0
3.5484 0.0000 0.0000
-1.7742 3.0730 0.0000
0.0000 0.0000 5.8413
Pb
2
Cartesian
0.0000 2.0487 1.4603
1.7742 1.0243 4.3810
```

3.
For Sr3Dy, DFT lattice parameters and positions (GGA-PBE) gives the simulated powder diffraction line list in this record (Cu Kα).
Intensities are scaled so that the largest is 1000.

Main lines, most intense first (2θ from 15° to 90°):
- 2θ 28.88, rel. 1000
- 2θ 27.21, rel. 260
- 2θ 53.19, rel. 237
- 2θ 25.41, rel. 231
- 2θ 49.14, rel. 228
- 2θ 44.78, rel. 198
- 2θ 54.17, rel. 168
- 2θ 37.57, rel. 165
- 2θ 72.83, rel. 137
- 2θ 77.78, rel. 97

Structure:
```
Sr3Dy
1.0
8.0956 0.0000 0.0000
-4.0478 7.0110 0.0000
0.0000 0.0000 6.5537
Sr Dy
6 2
Cartesian
0.0000 2.4083 1.6384
-1.9622 5.8068 1.6384
2.0856 1.2041 4.9152
1.9622 5.8068 1.6384
6.0100 1.2041 4.9152
4.0478 4.6027 4.9152
0.0000 4.6740 4.9152
4.0478 2.3370 1.6384
```

4.
For LaCuSn, DFT lattice parameters and positions (GGA-PBE) gives the simulated powder diffraction line list in this record (Cu Kα).
Intensities are scaled so that the largest is 1000.

Main lines, most intense first (2θ from 15° to 90°):
- 2θ 31.21, rel. 1000
- 2θ 39.07, rel. 543
- 2θ 60.30, rel. 302
- 2θ 50.83, rel. 254
- 2θ 65.92, rel. 231
- 2θ 44.02, rel. 129
- 2θ 87.24, rel. 111
- 2θ 70.79, rel. 94
- 2θ 72.94, rel. 86
- 2θ 24.78, rel. 65

Structure:
```
LaCuSn
1.0
4.6109 0.0000 0.0000
-2.3054 3.9931 0.0000
0.0000 0.0000 8.2282
La Cu Sn
2 2 2
Cartesian
I'm someone who enjoys and needs social interaction but is also exhausted by it. With a job that has me talking to people all day, and two young kids, the moments I'm entirely alone are few and far between. They're also precious. Over the past few years I've learned that if I don't actively take that time, I can't be the most functional version of myself. It can be hard to carve out but is absolutely worth the effort.
6. LenJo Bakes breakfast pies
I could eat these every day. LenJo Bakes makes savory breakfast pies in different flavours each Saturday and they are perfect. The crust! The filling! The accompanying hot sauce! *swoons*
7. The Writing Community
If someone asked me what the best thing about my author experience has been, I'd say it's the incredible community that supports writers (published and not). I never expected that people who are so busy with their own projects and day-to-day lives would be available for pep talks, problem-solving, and answering my newbie questions. And not just available, but enthusiastic. Two years in and it still surprises and delights me.
Reasonable Adults, Robin Lefler’s debut novel, is out next month from Harper Collins Canada, just in time for the holidays! Buy a copy for all the readers on your list! Or, gift it to yourself and enjoy an cozy winter evening curled up by the fire, preferably with a boozy hot chocolate in hand.
*Cover shot of Robin by Alex Dekker